┌──
Version 1
Here is a PBEsol-optimized structure of IrPtBr from Alexandria. Energies are from meta-GGA SCAN.

Volume (Å³ per cell): 49
Crystal system: orthorhombic
Symmetry: Fmm2, No. 42

Cell lengths 7.365, 7.049, 2.907 Å; angles 84.54, 72.32, 23.14 degrees
Sites, in units of the cell vectors:
Ir 0.000 0.000 0.000
Pt 0.662 0.662 0.338
Br 0.343 0.343 0.657

Version 2
Here is a PBEsol-optimized structure of IrPtBr from Alexandria. Energies are from meta-GGA SCAN.

Volume (Å³ per cell): 57
Crystal system: cubic
Symmetry: F-43m, No. 216

Cell lengths 4.332, 4.332, 4.332 Å; angles 60.00, 60.00, 60.00 degrees
Sites, in units of the cell vectors:
Ir 0.000 0.000 0.000
Pt 0.250 0.250 0.250
Br 0.750 0.750 0.750

Which one sits at the bottom of the stability order? version 2 does.

Version 1
Here is a PBEsol-optimized structure of LaScZn from Alexandria. Energies are from meta-GGA SCAN.

Volume (Å³ per cell): 76
Crystal system: cubic
Symmetry: F-43m, No. 216

Cell lengths 4.746, 4.746, 4.746 Å; angles 60.00, 60.00, 60.00 degrees
Sites, in units of the cell vectors:
La 0.000 0.000 0.000
Sc 0.750 0.750 0.750
Zn 0.500 0.500 0.500

Version 2
Here is a PBEsol-optimized structure of LaScZn from Alexandria. Energies are from meta-GGA SCAN.

Volume (Å³ per cell): 74
Crystal system: trigonal
Symmetry: P3m1, No. 156

Cell lengths 3.428, 3.428, 7.312 Å; angles 90.00, 90.00, 120.00 degrees
Sites, in units of the cell vectors:
La 0.000 0.000 0.000
Sc 0.333 0.667 0.606
Zn 0.667 0.333 0.332

Which one sits at the bottom of the stability order? version 1 does.

Version 1
Here is a PBEsol-optimized structure of OsRh2Au from Alexandria. Energies are from meta-GGA SCAN.

Volume (Å³ per cell): 58
Crystal system: trigonal
Symmetry: R3m, No. 160

Cell lengths 9.107, 9.107, 9.107 Å; angles 17.21, 17.21, 17.21 degrees
Sites, in units of the cell vectors:
Os 0.000 0.000 0.000
Rh 0.256 0.256 0.256
Rh 0.508 0.508 0.508
Au 0.755 0.755 0.755

Version 2
Here is a PBEsol-optimized structure of OsRh2Au from Alexandria. Energies are from meta-GGA SCAN.

Volume (Å³ per cell): 58
Crystal system: trigonal
Symmetry: R-3m, No. 166

Cell lengths 9.099, 9.099, 9.099 Å; angles 17.23, 17.23, 17.23 degrees
Sites, in units of the cell vectors:
Os 0.000 0.000 0.000
Rh 0.255 0.255 0.255
Rh 0.745 0.745 0.745
Au 0.500 0.500 0.500

Which one sits at the bottom of the stability order? version 1 does.

Version 1
Here is a PBEsol-optimized structure of LiYCl2 from Alexandria. Energies are from meta-GGA SCAN.

Volume (Å³ per cell): 74
Crystal system: trigonal
Symmetry: R-3m, No. 166

Cell lengths 7.461, 7.461, 7.461 Å; angles 26.75, 26.75, 26.75 degrees
Sites, in units of the cell vectors:
Li 0.000 0.000 0.000
Y 0.500 0.500 0.500
Cl 0.264 0.264 0.264
Cl 0.736 0.736 0.736

Version 2
Here is a PBEsol-optimized structure of LiYCl2 from Alexandria. Energies are from meta-GGA SCAN.

Volume (Å³ per cell): 91
Crystal system: monoclinic
Symmetry: Pm, No. 6

Cell lengths 3.566, 3.495, 7.483 Å; angles 90.00, 103.73, 90.00 degrees
Sites, in units of the cell vectors:
Li 0.000 0.000 0.000
Y 0.688 0.500 0.379
Cl 0.508 0.500 0.017
Cl 0.825 0.000 0.656

Which one sits at the bottom of the stability order? version 2 does.

Version 1
Here is a PBEsol-optimized structure of Ca3Si from Alexandria. Energies are from meta-GGA SCAN.

Volume (Å³ per cell): 490
Crystal system: orthorhombic
Symmetry: Pnma, No. 62

Cell lengths 7.757, 9.636, 6.557 Å; angles 90.00, 90.00, 90.00 degrees
Sites, in units of the cell vectors:
Ca 0.032 0.250 0.113
Ca 0.176 0.059 0.672
Ca 0.176 0.441 0.672
Ca 0.324 0.559 0.172
Ca 0.324 0.941 0.172
Ca 0.468 0.750 0.613
Ca 0.532 0.250 0.387
Ca 0.676 0.059 0.828
Ca 0.676 0.441 0.828
Ca 0.824 0.559 0.328
Ca 0.824 0.941 0.328
Ca 0.968 0.750 0.887
Si 0.109 0.750 0.458
Si 0.391 0.250 0.958
Si 0.609 0.750 0.042
Si 0.891 0.250 0.542

Version 2
Here is a PBEsol-optimized structure of Ca3Si from Alexandria. Energies are from meta-GGA SCAN.

Volume (Å³ per cell): 379
Crystal system: orthorhombic
└──

Write out the whole of the entries further above without altering anything.

Version 1
Here is a PBEsol-optimized structure of IrPtBr from Alexandria. Energies are from meta-GGA SCAN.

Volume (Å³ per cell): 49
Crystal system: orthorhombic
Symmetry: Fmm2, No. 42

Cell lengths 7.365, 7.049, 2.907 Å; angles 84.54, 72.32, 23.14 degrees
Sites, in units of the cell vectors:
Ir 0.000 0.000 0.000
Pt 0.662 0.662 0.338
Br 0.343 0.343 0.657

Version 2
Here is a PBEsol-optimized structure of IrPtBr from Alexandria. Energies are from meta-GGA SCAN.

Volume (Å³ per cell): 57
Crystal system: cubic
Symmetry: F-43m, No. 216

Cell lengths 4.332, 4.332, 4.332 Å; angles 60.00, 60.00, 60.00 degrees
Sites, in units of the cell vectors:
Ir 0.000 0.000 0.000
Pt 0.250 0.250 0.250
Br 0.750 0.750 0.750

Which one sits at the bottom of the stability order? version 2 does.

Version 1
Here is a PBEsol-optimized structure of LaScZn from Alexandria. Energies are from meta-GGA SCAN.

Volume (Å³ per cell): 76
Crystal system: cubic
Symmetry: F-43m, No. 216

Cell lengths 4.746, 4.746, 4.746 Å; angles 60.00, 60.00, 60.00 degrees
Sites, in units of the cell vectors:
La 0.000 0.000 0.000
Sc 0.750 0.750 0.750
Zn 0.500 0.500 0.500

Version 2
Here is a PBEsol-optimized structure of LaScZn from Alexandria. Energies are from meta-GGA SCAN.

Volume (Å³ per cell): 74
Crystal system: trigonal
Symmetry: P3m1, No. 156

Cell lengths 3.428, 3.428, 7.312 Å; angles 90.00, 90.00, 120.00 degrees
Sites, in units of the cell vectors:
La 0.000 0.000 0.000
Sc 0.333 0.667 0.606
Zn 0.667 0.333 0.332

Which one sits at the bottom of the stability order? version 1 does.

Version 1
Here is a PBEsol-optimized structure of OsRh2Au from Alexandria. Energies are from meta-GGA SCAN.

Volume (Å³ per cell): 58
Crystal system: trigonal
Symmetry: R3m, No. 160

Cell lengths 9.107, 9.107, 9.107 Å; angles 17.21, 17.21, 17.21 degrees
Sites, in units of the cell vectors:
Os 0.000 0.000 0.000
Rh 0.256 0.256 0.256
Rh 0.508 0.508 0.508
Au 0.755 0.755 0.755

Version 2
Here is a PBEsol-optimized structure of OsRh2Au from Alexandria. Energies are from meta-GGA SCAN.

Volume (Å³ per cell): 58
Crystal system: trigonal
Symmetry: R-3m, No. 166

Cell lengths 9.099, 9.099, 9.099 Å; angles 17.23, 17.23, 17.23 degrees
Sites, in units of the cell vectors:
Os 0.000 0.000 0.000
Rh 0.255 0.255 0.255
Rh 0.745 0.745 0.745
Au 0.500 0.500 0.500

Which one sits at the bottom of the stability order? version 1 does.

Version 1
Here is a PBEsol-optimized structure of LiYCl2 from Alexandria. Energies are from meta-GGA SCAN.

Volume (Å³ per cell): 74
Crystal system: trigonal
Symmetry: R-3m, No. 166

Cell lengths 7.461, 7.461, 7.461 Å; angles 26.75, 26.75, 26.75 degrees
Sites, in units of the cell vectors:
Li 0.000 0.000 0.000
Y 0.500 0.500 0.500
Cl 0.264 0.264 0.264
Cl 0.736 0.736 0.736

Version 2
Here is a PBEsol-optimized structure of LiYCl2 from Alexandria. Energies are from meta-GGA SCAN.

Volume (Å³ per cell): 91
Crystal system: monoclinic
Symmetry: Pm, No. 6

Cell lengths 3.566, 3.495, 7.483 Å; angles 90.00, 103.73, 90.00 degrees
Sites, in units of the cell vectors:
Li 0.000 0.000 0.000
Y 0.688 0.500 0.379
Cl 0.508 0.500 0.017
Cl 0.825 0.000 0.656

Which one sits at the bottom of the stability order? version 2 does.

Version 1
Here is a PBEsol-optimized structure of Ca3Si from Alexandria. Energies are from meta-GGA SCAN.

Volume (Å³ per cell): 490
Crystal system: orthorhombic
Symmetry: Pnma, No. 62

Cell lengths 7.757, 9.636, 6.557 Å; angles 90.00, 90.00, 90.00 degrees
Sites, in units of the cell vectors:
Ca 0.032 0.250 0.113
Ca 0.176 0.059 0.672
Ca 0.176 0.441 0.672
Ca 0.324 0.559 0.172
Ca 0.324 0.941 0.172
Ca 0.468 0.750 0.613
Ca 0.532 0.250 0.387
Ca 0.676 0.059 0.828
Ca 0.676 0.441 0.828
Ca 0.824 0.559 0.328
Ca 0.824 0.941 0.328
Ca 0.968 0.750 0.887
Si 0.109 0.750 0.458
Si 0.391 0.250 0.958
Si 0.609 0.750 0.042
Si 0.891 0.250 0.542

Version 2
Here is a PBEsol-optimized structure of Ca3Si from Alexandria. Energies are from meta-GGA SCAN.

Volume (Å³ per cell): 379
Crystal system: orthorhombic